It remains to filter the entries further down: keep the lines with the word "population".

=====
No. 1
Density functional theory data (ωB97M-V with the def2-TZVPD basis set) for a molecular structure, C18H28N4O6PSbSe4TeZn.

XYZ file:
```
64
C18H28N4O6PSbSe4TeZn | OMol25 | ωB97M-V with the def2-TZVPD basis set
Zn 0.1186 0.1553 -0.5245
O 1.6295 1.7489 6.2180
C 0.6640 2.4214 5.4118
C 0.4471 1.6869 4.1207
C -0.7843 1.7484 3.4800
C -0.9203 1.1717 2.2343
N 0.0857 0.5449 1.6227
C 1.2712 0.4823 2.2294
C 1.4840 1.0327 3.4885
C 2.3655 -0.1648 1.4562
C 3.6095 -0.4429 1.9993
C 4.6165 -0.9316 1.1748
C 5.9641 -1.2450 1.7593
O 5.9534 -2.4667 2.5099
C 4.3354 -1.1152 -0.1668
C 3.0484 -0.8694 -0.6202
N 2.0844 -0.4401 0.1811
H 2.0166 2.3910 6.8170
H 1.0125 3.4313 5.1680
H -0.2872 2.5126 5.9465
H -1.6277 2.2608 3.9260
H -1.8474 1.2185 1.6831
H 2.4599 1.0090 3.9468
H 3.8191 -0.2295 3.0392
H 6.2873 -0.4231 2.4070
H 6.7023 -1.3666 0.9669
H 5.0529 -2.5947 2.8257
H 5.0952 -1.4234 -0.8727
H 2.7811 -1.0009 -1.6617
Se 4.0346 0.9122 -3.3835
Sb 1.6857 1.5670 -3.4051
Se 0.2982 -0.5638 -2.8891
Se 0.9603 2.5641 -1.0128
Se 2.7376 3.0279 0.4301
C -2.9721 1.4328 -4.5621
C -2.7920 1.7418 -3.0965
O -3.4825 0.7219 -2.3439
P -3.3589 0.7038 -0.7410
O -2.0445 0.1404 -0.2932
Te -4.0681 2.7340 0.2287
O -4.4143 -0.4880 -0.4561
C -5.7680 -0.3565 -0.8804
C -6.6293 -1.2155 0.0189
H -2.4904 2.2082 -5.1611
H -4.0336 1.3929 -4.8197
H -2.5051 0.4785 -4.8001
H -3.2149 2.7097 -2.8225
H -1.7317 1.7249 -2.8348
H -5.8403 -0.6741 -1.9243
H -6.0709 0.6930 -0.8182
H -6.2963 -2.2540 -0.0089
H -7.6726 -1.1726 -0.3030
H -6.5654 -0.8598 1.0476
C 1.4763 -3.8323 -1.3346
N 0.0390 -3.7711 -1.5335
C -0.7019 -2.9263 -0.7398
N -1.9821 -2.6714 -1.1923
O -0.2900 -2.4921 0.3293
H 1.8470 -4.8196 -1.6169
H 1.6832 -3.6608 -0.2810
H 1.9887 -3.0668 -1.9223
H -0.2466 -3.7749 -2.4999
H -2.0499 -2.5570 -2.1951
H -2.3490 -1.8541 -0.7149
```

Output
HOMO-LUMO gap ... 0.17542 Ha
LUMO level ... 3.8 eV
Total charge ... -2

Mulliken population analysis, charges in e, atoms 1 to 2: 2.268 -0.526

---

No. 2
Density functional theory data (ωB97M-V with the def2-TZVPD basis set) for a single C18H28N6O4 molecule in a non-equilibrium geometry.

XYZ file:
```
56
C18H28N6O4 | OMol25 | ωB97M-V with the def2-TZVPD basis set
C -0.3913 1.0692 5.6416
C -0.8380 1.5093 4.2528
C 0.1907 2.3905 3.5423
C 1.4380 1.6347 3.0673
N 1.1328 0.6249 2.0832
C 0.8185 0.7791 0.7759
N 0.5316 -0.3706 0.1876
C 0.6634 -1.3100 1.1454
C 1.0429 -0.7265 2.3460
C 1.3394 -1.5156 3.5016
O 1.7566 -1.1536 4.5842
N 1.0996 -2.8615 3.2332
C 0.6928 -3.4848 2.0650
O 0.5481 -4.6837 2.0082
N 0.4743 -2.6494 0.9926
C 0.0776 -3.1871 -0.2897
H -0.0945 -4.2540 -0.1646
H -0.8317 -2.6917 -0.6282
H 0.8667 -3.0186 -1.0232
H 1.2783 -3.4989 4.0016
C 0.8588 2.1013 0.0643
N 0.3097 2.1243 -1.2700
C -1.1059 1.7877 -1.3085
C -1.6510 2.0546 -2.7117
N -0.8922 1.2945 -3.6797
C -1.3962 0.1207 -4.1313
O -2.5460 -0.2238 -3.9836
O -0.4800 -0.5930 -4.8292
C -0.9428 -1.8274 -5.3710
C -0.9428 -2.9347 -4.3257
H -1.6510 -2.6931 -3.5374
H 0.0486 -3.0453 -3.8926
H -1.2364 -3.8729 -4.7874
H -0.2504 -2.0532 -6.1849
H -1.9530 -1.6868 -5.7686
C 0.5194 1.5978 -3.6355
H 1.0452 0.9931 -4.3719
C 1.0604 1.3274 -2.2300
H 2.1104 1.6245 -2.1783
H 0.9806 0.2535 -2.0109
H 0.6416 2.6584 -3.8768
H -2.6963 1.7529 -2.7808
H -1.5524 3.1164 -2.9543
H -1.6320 2.4161 -0.5859
H -1.2768 0.7313 -1.0536
H 1.9057 2.4260 0.0047
H 0.3177 2.8466 0.6560
H 2.1516 2.3422 2.6341
H 1.9067 1.1264 3.9115
H -0.2878 2.8704 2.6858
H 0.5203 3.1783 4.2218
H -1.0537 0.6307 3.6402
H -1.7665 2.0786 4.3423
H -1.1923 0.5223 6.1332
H 0.4764 0.4180 5.5905
H -0.1434 1.9345 6.2526
```

Output
HOMO-LUMO gap ... 0.33282 Ha
SMILES string ... CCCCn1c(CN2CCN(C(=O)OCC)CC2)nc2c1c(=O)[nH]c(=O)n2C
LUMO level ... 0.6 eV
Total charge ... 0

Mulliken population analysis, charges in e, atoms 1 to 2: -1.258 -0.363

---

No. 3
Density functional theory data (ωB97M-V with the def2-TZVPD basis set) for a molecular structure, C18H28NaO18 in a non-equilibrium geometry.

XYZ file:
```
65
C18H28NaO18 | OMol25 | ωB97M-V with the def2-TZVPD basis set
=====

Mulliken population analysis, charges in e, atoms 1 to 2: 2.268 -0.526
Mulliken population analysis, charges in e, atoms 1 to 2: -1.258 -0.363